Please say how many lines of the contents further below hold the word "Values", as a bare number.
~~~
Here is a molecular structure, C32H32BrN4O5S4Tl from OMol25. Energies are from ωB97M-V with the def2-TZVPD basis set.

Geometry as XYZ:
```
79
Properties=species:S:1:pos:R:3
Tl -0.44 -0.61 0.68
S -2.42 -0.69 2.32
C -1.37 -0.38 3.65
S 0.26 0.04 3.34
C -1.86 -0.51 4.97
C -3.23 -0.78 5.24
N -4.33 -0.98 5.50
C -1.00 -0.56 6.09
N -0.33 -0.71 7.03
O -1.17 -3.66 6.67
C -0.87 -3.68 5.35
C 0.34 -3.21 4.86
C 0.52 -3.16 3.49
N -0.41 -3.57 2.62
C -1.50 -4.09 3.12
Br -2.77 -4.72 1.85
C -1.81 -4.19 4.46
H -0.70 -2.90 7.07
H 1.09 -2.80 5.53
H 1.42 -2.73 3.07
H -2.76 -4.56 4.81
C -4.62 7.71 -5.85
C -3.84 6.86 -4.87
O -3.90 7.01 -3.68
S -2.86 5.62 -5.70
C -2.30 4.61 -4.37
C -1.30 5.05 -3.51
C -0.87 4.24 -2.48
C -1.43 2.97 -2.29
C -2.42 2.53 -3.16
C -2.86 3.34 -4.19
C -1.00 2.10 -1.23
C -0.78 1.26 -0.39
H -4.70 8.72 -5.46
H -5.63 7.29 -5.92
H -4.18 7.71 -6.84
H -0.86 6.03 -3.66
H -0.09 4.57 -1.81
H -2.84 1.54 -3.02
H -3.63 3.00 -4.87
C 6.36 -0.15 -0.24
C 4.95 0.21 0.18
C 4.68 1.45 0.73
C 3.36 1.75 1.09
C 3.00 3.09 1.67
C 2.37 0.81 0.91
C 2.59 -0.47 0.36
C 3.94 -0.72 0.00
N 1.56 -1.38 0.22
C 1.75 -2.63 -0.55
C 0.40 -3.33 -0.71
C 2.63 -3.63 0.22
C 2.22 -2.35 -1.99
H 7.05 0.66 -0.01
H 6.41 -0.34 -1.31
H 6.71 -1.05 0.27
H 5.46 2.19 0.87
H 3.89 3.66 1.93
H 2.38 2.98 2.56
H 2.42 3.67 0.95
H 1.37 1.11 1.21
H 4.23 -1.66 -0.43
H -0.02 -3.62 0.25
H 0.53 -4.23 -1.32
H -0.30 -2.68 -1.22
H 2.12 -3.92 1.14
H 3.62 -3.27 0.49
H 2.77 -4.54 -0.38
H 1.45 -1.78 -2.50
H 2.36 -3.30 -2.52
H 3.15 -1.79 -2.06
C -3.02 -3.12 -2.55
S -2.49 -1.50 -2.04
O -1.28 -1.21 -2.78
O -3.60 -0.60 -2.30
O -2.23 -1.70 -0.58
H -3.03 -3.14 -3.64
H -4.02 -3.30 -2.16
H -2.32 -3.85 -2.15
```

Values from the calculation:
Relative energy (zero: lowest compared OMol25 entry of this formula, charge and spin) in eV: 0.0000
Maximum force in eV Å⁻¹: 0.57
Charge: -2
E_HOMO in hartree: -0.0984
DFT total energy in hartree: -6173.1378
Gap between HOMO and LUMO in eV: 6.04
~~~
1